Date: January 11, 2021
Subject: It's January 11; Good Morning Union

Welcome, or welcome back to the new semester. If you are new, my name is Pastor Rich and I’m the chaplain here at Union. Each morning for the past 24 years I have written a devotional for our campus family called Good Morning Union (aka “GMU!”). It’s been an amazing journey for me and hopefully a blessing for those who have needed a little extra help with their personal devotional lives. We are committed to creating the best environment possible for you to grow in your relationship with Jesus while you are here at Union. This is just one of many options that you’ll be hearing about. If your devotional life is strong and vibrant I’m not offended it you delete mine!! Just please read the PSs at the bottom so you can keep current on what’s happening from Campus Ministries! But if you nee a little help to jump start or challenge your daily walk with God, I’ll be here to help you every morning!

And for our returning students, remember I suggested—WAY back in November—before our 48 day break started, that I was planning on reading the book of Luke during the month of December; one chapter for each day from the first, ending on the 24th, just in time for Christmas and to remember what that day is really all about. Well, I did it and was SO blessed. Also, in preparation for my class on the New Testament story, that I teach this semester, I read a book called “Messiah,” a contemporary adaptation of the classic work on Jesus’ life, “The Desire of Ages.”  Between those two experiences during break I decided I would reflect back on my notes in my journal though those experiences and share them with you this semester. I hope you will be as blessed reading as I am writing about the story of Jesus. My challenge to you would be to use Good Morning Union, or whatever else you find useful and spend some thoughtful, quiet time with Jesus each day. The discipline of devotions has been the most anchoring thing I have experienced in my life. I highly recommend it to you as you start this new semester.

So here we go! First the book of Luke, then “Messiah.” I pray for your connection with Jesus every day.

Pastor Rich

Luke 1- birth of John the Baptist, and Mary is "with child"

John's father, Zachariah, had a special blessing for his 8 day old son:
"And you, my child, will be called a prophet of the Most High; you will go on before the Lord to prepare the way for Him, to give his people the knowledge of salvation through the forgiveness of their sins, because of the tender mercy of our God, by which the rising of the sun will come to us from heaven to shine on those living in darkness and in the shadow of death, to guide our feet into the path of peace."  Vs 77-79

That’s ONE SENTENCE!! How would like to diagram that sentence in English class!?

You know me! I found a list in those verses so I was attracted to it! John was called:

  1. To prepare the way for Jesus to come
  2. To give people the knowledge of salvation
  3. To bless them with the assurance that that salvation comes through the forgiveness of their sins
  4. To remind them that that forgiveness is offered because of the tender mercy of God
  5. To assure them that forgiveness through God’s mercy will shine light in the darkness and guide us in peace.

That was Zachariah’s blessing on his son and I see a replication of that blessing as my calling in life as I serve you. I want to live my life preparing for Jesus to come again by offering the assurance of salvation that I have found that comes only because of the forgiveness that Jesus has already provided for me because He is so merciful. And I want that message to offer hope and encouragement to those in darkness and to those who need peace.

• Someone pasted calculated crystals at this point:
____________
A geometry-optimized Li3ScAl structure. Source: the Alexandria database, functional PBE.

Geometry as POSCAR:
```
Li3ScAl
1.0
4.732 0.000 0.000
0.000 4.732 0.000
0.000 0.000 4.732
Li Sc Al
3 1 1
direct
0.000 0.000 0.500
0.000 0.500 0.000
0.500 0.000 0.000
0.500 0.500 0.500
0.000 0.000 0.000
____________

That’s what I wish and pray for you as we begin this new semester.

Have a great day patterning your calling after John’s,

Pastor Rich


Quote for the day:      “Stop walking around with a mouth full of Scripture and a heart full of hate.”

PS        Looks like the free car is gone!!